**Entries**
Density functional theory data (PBE-GGA) for a relaxed structure of TcGeSCl2.

abc: 4.9434 4.9434 4.9390
angles: 90.00 90.00 90.00
Last column: nearest neighbours and their distance in Å.
Space group P4/mmm (No. 123)
Unique sites:
Tc 0.0000 0.0000 0.0000 (multiplicity 1)  8 Cl 3.49, 4 S 3.50
Ge 0.5000 0.5000 0.5000 (multiplicity 1)  2 S 2.47, 4 Cl 2.47
S 0.5000 0.5000 0.0000 (multiplicity 1)  2 Ge 2.47
Cl 0.0000 0.5000 0.5000 (multiplicity 2)  2 Ge 2.47

- ΔE_f (raw): 0.5270 eV per atom
- Polymorph energy (0 for the lowest one): 350 meV per atom

Density functional theory data (PBE-GGA) for a relaxed structure of GeTeS2Cl.

abc: 5.1792 5.1792 5.0575
angles: 90.00 90.00 90.00
Last column: nearest neighbours and their distance in Å.
Space group P4/mmm (No. 123)
Unique sites:
Ge 0.0000 0.0000 0.0000 (multiplicity 1)  8 S 3.62, 4 Cl 3.66
Te 0.5000 0.5000 0.5000 (multiplicity 1)  2 Cl 2.53, 4 S 2.59
S 0.0000 0.5000 0.5000 (multiplicity 2)  2 Te 2.59
Cl 0.5000 0.5000 0.0000 (multiplicity 1)  2 Te 2.53

- ΔE_f (raw): 0.4359 eV per atom
- Polymorph energy (0 for the lowest one): 178 meV per atom

Density functional theory data (PBE-GGA) for a relaxed structure of GeTeSCl2.

abc: 5.2414 5.2414 5.3145
angles: 90.00 90.00 90.00
Last column: nearest neighbours and their distance in Å.
Space group P4/mmm (No. 123)
Unique sites:
Ge 0.0000 0.0000 0.0000 (multiplicity 1)  4 S 3.71, 8 Cl 3.73
Te 0.5000 0.5000 0.5000 (multiplicity 1)  4 Cl 2.62, 2 S 2.66
S 0.5000 0.5000 0.0000 (multiplicity 1)  2 Te 2.66
Cl 0.0000 0.5000 0.5000 (multiplicity 2)  2 Te 2.62

- ΔE_f (raw): 0.3305 eV per atom
- Polymorph energy (0 for the lowest one): 248 meV per atom

Density functional theory data (PBE-GGA) for a relaxed structure of GeTeSCl2.

abc: 4.8581 4.8581 5.2477
angles: 90.00 90.00 90.00
Last column: nearest neighbours and their distance in Å.
Space group P4/mmm (No. 123)
Unique sites:
Ge 0.0000 0.0000 0.0000 (multiplicity 1)  4 Cl 2.43, 2 S 2.62
Te 0.5000 0.5000 0.5000 (multiplicity 1)  4 S 3.44, 8 Cl 3.58
S 0.0000 0.0000 0.5000 (multiplicity 1)  2 Ge 2.62
Cl 0.0000 0.5000 0.0000 (multiplicity 2)  2 Ge 2.43

- ΔE_f (raw): 0.0823 eV per atom
- Polymorph energy (0 for the lowest one): 0 meV per atom

Density functional theory data (PBE-GGA) for a relaxed structure of GeTeS2Cl.

abc: 4.8787 4.8787 4.7068
angles: 90.00 90.00 90.00
Last column: nearest neighbours and their distance in Å.
Space group P4/mmm (No. 123)
Unique sites:
Ge 0.0000 0.0000 0.0000 (multiplicity 1)  2 Cl 2.35, 4 S 2.44
Te 0.5000 0.5000 0.5000 (multiplicity 1)  8 S 3.39, 4 Cl 3.45
S 0.0000 0.5000 0.0000 (multiplicity 2)  2 Ge 2.44
Cl 0.0000 0.0000 0.5000 (multiplicity 1)  2 Ge 2.35

- ΔE_f (raw): 0.2584 eV per atom
- Polymorph energy (0 for the lowest one): 0 meV per atom

Density functional theory data (PBE-GGA) for a relaxed structure of TiGeSCl2.

abc: 4.9137 4.9137 4.9768
angles: 90.00 90.00 90.00
Last column: nearest neighbours and their distance in Å.
Space group P4/mmm (No. 123)
Unique sites:
Ti 0.0000 0.0000 0.0000 (multiplicity 1)  4 S 3.47, 8 Cl 3.50
Ge 0.5000 0.5000 0.5000 (multiplicity 1)  4 Cl 2.46, 2 S 2.49
S 0.5000 0.5000 0.0000 (multiplicity 1)  2 Ge 2.49
Cl 0.0000 0.5000 0.5000 (multiplicity 2)  2 Ge 2.46

- ΔE_f (raw): 0.1275 eV per atom
- Polymorph energy (0 for the lowest one): 658 meV per atom

Density functional theory data (PBE-GGA) for a relaxed structure of TiGe2SCl.

abc: 5.0628 5.0628 4.5559
angles: 90.00 90.00 90.00
Last column: nearest neighbours and their distance in Å.
Space group P4/mmm (No. 123)
Unique sites:
Ti 0.0000 0.0000 0.0000 (multiplicity 1)  2 S 2.28
Ge 0.0000 0.5000 0.5000 (multiplicity 2)  2 S 2.53
S 0.0000 0.0000 0.5000 (multiplicity 1)  2 Ti 2.28, 4 Ge 2.53
Cl 0.5000 0.5000 0.0000 (multiplicity 1)  8 Ge 3.41, 4 Ti 3.58

- ΔE_f (raw): 0.2986 eV per atom

Density functional theory data (PBE-GGA) for a relaxed structure of TiGeSCl2.

abc: 4.8051 4.8051 4.8579
angles: 90.00 90.00 90.00
Last column: nearest neighbours and their distance in Å.

**To do**
Repeat all of the block earlier on verbatim, please.

**Outcome**
Density functional theory data (PBE-GGA) for a relaxed structure of TcGeSCl2.

abc: 4.9434 4.9434 4.9390
angles: 90.00 90.00 90.00
Last column: nearest neighbours and their distance in Å.
Space group P4/mmm (No. 123)
Unique sites:
Tc 0.0000 0.0000 0.0000 (multiplicity 1)  8 Cl 3.49, 4 S 3.50
Ge 0.5000 0.5000 0.5000 (multiplicity 1)  2 S 2.47, 4 Cl 2.47
S 0.5000 0.5000 0.0000 (multiplicity 1)  2 Ge 2.47
Cl 0.0000 0.5000 0.5000 (multiplicity 2)  2 Ge 2.47

- ΔE_f (raw): 0.5270 eV per atom
- Polymorph energy (0 for the lowest one): 350 meV per atom

Density functional theory data (PBE-GGA) for a relaxed structure of GeTeS2Cl.

abc: 5.1792 5.1792 5.0575
angles: 90.00 90.00 90.00
Last column: nearest neighbours and their distance in Å.
Space group P4/mmm (No. 123)
Unique sites:
Ge 0.0000 0.0000 0.0000 (multiplicity 1)  8 S 3.62, 4 Cl 3.66
Te 0.5000 0.5000 0.5000 (multiplicity 1)  2 Cl 2.53, 4 S 2.59
S 0.0000 0.5000 0.5000 (multiplicity 2)  2 Te 2.59
Cl 0.5000 0.5000 0.0000 (multiplicity 1)  2 Te 2.53

- ΔE_f (raw): 0.4359 eV per atom
- Polymorph energy (0 for the lowest one): 178 meV per atom

Density functional theory data (PBE-GGA) for a relaxed structure of GeTeSCl2.

abc: 5.2414 5.2414 5.3145
angles: 90.00 90.00 90.00
Last column: nearest neighbours and their distance in Å.
Space group P4/mmm (No. 123)
Unique sites:
Ge 0.0000 0.0000 0.0000 (multiplicity 1)  4 S 3.71, 8 Cl 3.73
Te 0.5000 0.5000 0.5000 (multiplicity 1)  4 Cl 2.62, 2 S 2.66
S 0.5000 0.5000 0.0000 (multiplicity 1)  2 Te 2.66
Cl 0.0000 0.5000 0.5000 (multiplicity 2)  2 Te 2.62

- ΔE_f (raw): 0.3305 eV per atom
- Polymorph energy (0 for the lowest one): 248 meV per atom

Density functional theory data (PBE-GGA) for a relaxed structure of GeTeSCl2.

abc: 4.8581 4.8581 5.2477
angles: 90.00 90.00 90.00
Last column: nearest neighbours and their distance in Å.
Space group P4/mmm (No. 123)
Unique sites:
Ge 0.0000 0.0000 0.0000 (multiplicity 1)  4 Cl 2.43, 2 S 2.62
Te 0.5000 0.5000 0.5000 (multiplicity 1)  4 S 3.44, 8 Cl 3.58
S 0.0000 0.0000 0.5000 (multiplicity 1)  2 Ge 2.62
Cl 0.0000 0.5000 0.0000 (multiplicity 2)  2 Ge 2.43

- ΔE_f (raw): 0.0823 eV per atom
- Polymorph energy (0 for the lowest one): 0 meV per atom

Density functional theory data (PBE-GGA) for a relaxed structure of GeTeS2Cl.

abc: 4.8787 4.8787 4.7068
angles: 90.00 90.00 90.00
Last column: nearest neighbours and their distance in Å.
Space group P4/mmm (No. 123)
Unique sites:
Ge 0.0000 0.0000 0.0000 (multiplicity 1)  2 Cl 2.35, 4 S 2.44
Te 0.5000 0.5000 0.5000 (multiplicity 1)  8 S 3.39, 4 Cl 3.45
S 0.0000 0.5000 0.0000 (multiplicity 2)  2 Ge 2.44
Cl 0.0000 0.0000 0.5000 (multiplicity 1)  2 Ge 2.35

- ΔE_f (raw): 0.2584 eV per atom
- Polymorph energy (0 for the lowest one): 0 meV per atom

Density functional theory data (PBE-GGA) for a relaxed structure of TiGeSCl2.

abc: 4.9137 4.9137 4.9768
angles: 90.00 90.00 90.00
Last column: nearest neighbours and their distance in Å.
Space group P4/mmm (No. 123)
Unique sites:
Ti 0.0000 0.0000 0.0000 (multiplicity 1)  4 S 3.47, 8 Cl 3.50
Ge 0.5000 0.5000 0.5000 (multiplicity 1)  4 Cl 2.46, 2 S 2.49
S 0.5000 0.5000 0.0000 (multiplicity 1)  2 Ge 2.49
Cl 0.0000 0.5000 0.5000 (multiplicity 2)  2 Ge 2.46

- ΔE_f (raw): 0.1275 eV per atom
- Polymorph energy (0 for the lowest one): 658 meV per atom

Density functional theory data (PBE-GGA) for a relaxed structure of TiGe2SCl.

abc: 5.0628 5.0628 4.5559
angles: 90.00 90.00 90.00
Last column: nearest neighbours and their distance in Å.
Space group P4/mmm (No. 123)
Unique sites:
Ti 0.0000 0.0000 0.0000 (multiplicity 1)  2 S 2.28
Ge 0.0000 0.5000 0.5000 (multiplicity 2)  2 S 2.53
S 0.0000 0.0000 0.5000 (multiplicity 1)  2 Ti 2.28, 4 Ge 2.53
Cl 0.5000 0.5000 0.0000 (multiplicity 1)  8 Ge 3.41, 4 Ti 3.58

- ΔE_f (raw): 0.2986 eV per atom

Density functional theory data (PBE-GGA) for a relaxed structure of TiGeSCl2.

abc: 4.8051 4.8051 4.8579
angles: 90.00 90.00 90.00
Last column: nearest neighbours and their distance in Å.